Activity:
Echo the whole of the calculation results underneath unchanged.

Data:
/*
{
  "formula": "Li4Mn3V3Ni2O16",
  "functional": "PBE+U",
  "state": "optimized geometry",
  "formation_energy_kj_per_mol_atoms": -202,
  "energy_ev_per_atom": -6.624,
  "crystal_system": "monoclinic",
  "space_group": "No. 8",
  "magmom_total_mub_per_fu": 16.0,
  "lattice": [[5.078, -2.902, 0.000], [5.078, 2.902, 0.000], [-0.027, 0.000, 9.624]],
  "species": ["Li", "Li", "Li", "Li", "Mn", "Mn", "Mn", "V", "V", "V", "Ni", "Ni", "O", "O", "O", "O", "O", "O", "O", "O", "O", "O", "O", "O", "O", "O", "O", "O"],
  "fractional_positions": [[0.000, 0.000, 0.000], [0.002, 0.002, 0.500], [0.330, 0.330, 0.389], [0.664, 0.664, 0.891], [0.168, 0.168, 0.717], [0.336, 0.830, 0.217], [0.830, 0.336, 0.217], [0.168, 0.662, 0.716], [0.662, 0.168, 0.716], [0.830, 0.830, 0.216], [0.331, 0.331, 0.993], [0.663, 0.663, 0.490], [0.002, 0.002, 0.315], [0.003, 0.003, 0.815], [0.033, 0.480, 0.833], [0.155, 0.155, 0.108], [0.155, 0.683, 0.109], [0.316, 0.838, 0.609], [0.327, 0.327, 0.608], [0.478, 0.478, 0.832], [0.480, 0.033, 0.833], [0.515, 0.515, 0.331], [0.515, 0.961, 0.331], [0.661, 0.661, 0.109], [0.683, 0.155, 0.109], [0.838, 0.316, 0.609], [0.842, 0.842, 0.609], [0.961, 0.515, 0.331]]
}

***

{
  "formula": "Li3Mn7O16",
  "functional": "PBE+U",
  "state": "optimized geometry",
  "formation_energy_kj_per_mol_atoms": -182,
  "energy_ev_per_atom": -6.747,
  "crystal_system": "trigonal",
  "space_group": "No. 160",
  "magmom_total_mub_per_fu": 20.0,
  "lattice": [[2.915, 1.683, 9.466], [-2.915, 1.683, 9.466], [0.000, -3.366, 9.466]],
  "species": ["Li", "Li", "Li", "Mn", "Mn", "Mn", "Mn", "Mn", "Mn", "Mn", "O", "O", "O", "O", "O", "O", "O", "O", "O", "O", "O", "O", "O", "O", "O", "O"],
  "fractional_positions": [[0.000, 0.000, 0.000], [0.122, 0.122, 0.122], [0.621, 0.621, 0.621], [0.065, 0.065, 0.558], [0.065, 0.558, 0.065], [0.066, 0.556, 0.556], [0.556, 0.066, 0.556], [0.556, 0.556, 0.066], [0.558, 0.065, 0.065], [0.812, 0.812, 0.812], [0.146, 0.710, 0.710], [0.193, 0.193, 0.193], [0.202, 0.202, 0.676], [0.202, 0.676, 0.202], [0.419, 0.419, 0.946], [0.419, 0.946, 0.419], [0.428, 0.428, 0.428], [0.472, 0.914, 0.914], [0.676, 0.202, 0.202], [0.691, 0.691, 0.691], [0.710, 0.146, 0.710], [0.710, 0.710, 0.146], [0.914, 0.472, 0.914], [0.914, 0.914, 0.472], [0.931, 0.931, 0.931], [0.946, 0.419, 0.419]]
}

***

{
  "formula": "Li2MnO2",
  "functional": "PBE+U",
  "state": "optimized geometry",
  "formation_energy_kj_per_mol_atoms": -191,
  "relative_energy_mev_per_atom": 44,
  "energy_ev_per_atom": -5.945,
  "magmom_total_mub_per_fu": 0.0,
  "lattice": [[-2.496, -2.316, -3.300], [1.774, -4.368, 0.503], [-4.794, -2.205, 1.767]],
  "species": ["Li", "Li", "Li", "Li", "Mn", "Mn", "O", "O", "O", "O"],
  "fractional_positions": [[0.974, 0.250, 0.553], [0.474, 0.750, 0.553], [0.526, 0.250, 0.447], [0.026, 0.750, 0.447], [0.750, 0.750, 0.000], [0.250, 0.250, 0.000], [0.147, 0.500, 0.707], [0.647, 0.000, 0.707], [0.353, 0.000, 0.293], [0.853, 0.500, 0.293]]
}

***

{
  "formula": "Li5Mn6O12",
  "functional": "PBE+U",
  "state": "optimized geometry",
  "formation_energy_kj_per_mol_atoms": -204,
  "relative_energy_mev_per_atom": 0,
  "energy_ev_per_atom": -6.703,
  "crystal_system": "triclinic",
  "space_group": "No. 1",
  "magmom_total_mub_per_fu": 1.0,
  "lattice": [[6.130, 0.000, 0.000], [-2.405, 6.088, 0.000], [-1.547, -1.605, 6.174]],
  "species": ["Li", "Li", "Li", "Li", "Li", "Mn", "Mn", "Mn", "Mn", "Mn", "Mn", "O", "O", "O", "O", "O", "O", "O", "O", "O", "O", "O", "O"],
*/

Done:
{
  "formula": "Li4Mn3V3Ni2O16",
  "functional": "PBE+U",
  "state": "optimized geometry",
  "formation_energy_kj_per_mol_atoms": -202,
  "energy_ev_per_atom": -6.624,
  "crystal_system": "monoclinic",
  "space_group": "No. 8",
  "magmom_total_mub_per_fu": 16.0,
  "lattice": [[5.078, -2.902, 0.000], [5.078, 2.902, 0.000], [-0.027, 0.000, 9.624]],
  "species": ["Li", "Li", "Li", "Li", "Mn", "Mn", "Mn", "V", "V", "V", "Ni", "Ni", "O", "O", "O", "O", "O", "O", "O", "O", "O", "O", "O", "O", "O", "O", "O", "O"],
  "fractional_positions": [[0.000, 0.000, 0.000], [0.002, 0.002, 0.500], [0.330, 0.330, 0.389], [0.664, 0.664, 0.891], [0.168, 0.168, 0.717], [0.336, 0.830, 0.217], [0.830, 0.336, 0.217], [0.168, 0.662, 0.716], [0.662, 0.168, 0.716], [0.830, 0.830, 0.216], [0.331, 0.331, 0.993], [0.663, 0.663, 0.490], [0.002, 0.002, 0.315], [0.003, 0.003, 0.815], [0.033, 0.480, 0.833], [0.155, 0.155, 0.108], [0.155, 0.683, 0.109], [0.316, 0.838, 0.609], [0.327, 0.327, 0.608], [0.478, 0.478, 0.832], [0.480, 0.033, 0.833], [0.515, 0.515, 0.331], [0.515, 0.961, 0.331], [0.661, 0.661, 0.109], [0.683, 0.155, 0.109], [0.838, 0.316, 0.609], [0.842, 0.842, 0.609], [0.961, 0.515, 0.331]]
}

***

{
  "formula": "Li3Mn7O16",
  "functional": "PBE+U",
  "state": "optimized geometry",
  "formation_energy_kj_per_mol_atoms": -182,
  "energy_ev_per_atom": -6.747,
  "crystal_system": "trigonal",
  "space_group": "No. 160",
  "magmom_total_mub_per_fu": 20.0,
  "lattice": [[2.915, 1.683, 9.466], [-2.915, 1.683, 9.466], [0.000, -3.366, 9.466]],
  "species": ["Li", "Li", "Li", "Mn", "Mn", "Mn", "Mn", "Mn", "Mn", "Mn", "O", "O", "O", "O", "O", "O", "O", "O", "O", "O", "O", "O", "O", "O", "O", "O"],
  "fractional_positions": [[0.000, 0.000, 0.000], [0.122, 0.122, 0.122], [0.621, 0.621, 0.621], [0.065, 0.065, 0.558], [0.065, 0.558, 0.065], [0.066, 0.556, 0.556], [0.556, 0.066, 0.556], [0.556, 0.556, 0.066], [0.558, 0.065, 0.065], [0.812, 0.812, 0.812], [0.146, 0.710, 0.710], [0.193, 0.193, 0.193], [0.202, 0.202, 0.676], [0.202, 0.676, 0.202], [0.419, 0.419, 0.946], [0.419, 0.946, 0.419], [0.428, 0.428, 0.428], [0.472, 0.914, 0.914], [0.676, 0.202, 0.202], [0.691, 0.691, 0.691], [0.710, 0.146, 0.710], [0.710, 0.710, 0.146], [0.914, 0.472, 0.914], [0.914, 0.914, 0.472], [0.931, 0.931, 0.931], [0.946, 0.419, 0.419]]
}

***

{
  "formula": "Li2MnO2",
  "functional": "PBE+U",
  "state": "optimized geometry",
  "formation_energy_kj_per_mol_atoms": -191,
  "relative_energy_mev_per_atom": 44,
  "energy_ev_per_atom": -5.945,
  "magmom_total_mub_per_fu": 0.0,
  "lattice": [[-2.496, -2.316, -3.300], [1.774, -4.368, 0.503], [-4.794, -2.205, 1.767]],
  "species": ["Li", "Li", "Li", "Li", "Mn", "Mn", "O", "O", "O", "O"],
  "fractional_positions": [[0.974, 0.250, 0.553], [0.474, 0.750, 0.553], [0.526, 0.250, 0.447], [0.026, 0.750, 0.447], [0.750, 0.750, 0.000], [0.250, 0.250, 0.000], [0.147, 0.500, 0.707], [0.647, 0.000, 0.707], [0.353, 0.000, 0.293], [0.853, 0.500, 0.293]]
}

***

{
  "formula": "Li5Mn6O12",
  "functional": "PBE+U",
  "state": "optimized geometry",
  "formation_energy_kj_per_mol_atoms": -204,
  "relative_energy_mev_per_atom": 0,
  "energy_ev_per_atom": -6.703,
  "crystal_system": "triclinic",
  "space_group": "No. 1",
  "magmom_total_mub_per_fu": 1.0,
  "lattice": [[6.130, 0.000, 0.000], [-2.405, 6.088, 0.000], [-1.547, -1.605, 6.174]],
  "species": ["Li", "Li", "Li", "Li", "Li", "Mn", "Mn", "Mn", "Mn", "Mn", "Mn", "O", "O", "O", "O", "O", "O", "O", "O", "O", "O", "O", "O"],